The following is a DFT calculation (PBE+U) of a relaxed structure of AcHfVO6.

Lattice parameters (Å, degrees): 5.339 5.298 5.298 120.00 90.00 90.00
Atoms (fractional coordinates):
O (0.706, 0.968, 0.279)
O (0.294, 0.968, 0.689)
O (0.706, 0.311, 0.032)
O (0.294, 0.311, 0.279)
O (0.706, 0.721, 0.689)
O (0.294, 0.721, 0.032)
Hf (0.500, 0.667, 0.333)
V (0.500, 0.000, 0.000)
Ac (0.000, 0.333, 0.667)

Properties
The calculation puts the spin magnetization at 0.00 μB/cell. Its crystal system is trigonal. Its space group is P312. The value obtained for the volume is 14.421 A^3/atom. The value obtained for the total energy is -8.595 eV per atom.

----------

(1)
NdAlTlTe3: relaxed, PBE.

a b c (Å): 4.592 15.072 11.958
angles (deg): 90.00 90.00 90.00
Space group Cmcm (No. 63)
One atom of each set of equivalent atoms:
Nd 0.000 0.000 0.000
Al 0.000 0.469 0.250
Tl 0.000 0.242 0.750
Te 0.000 0.071 0.250
Te 0.000 0.360 0.070

Raw total energy ... -4.09 eV per atom

(2)
NdThAl: relaxed, PBE.

a b c (Å): 7.248 7.248 7.248
angles (deg): 90.00 90.00 90.00
Space group F-43m (No. 216)
One atom of each set of equivalent atoms:
Nd 0.000 0.000 0.000
Th 0.000 0.000 0.500
Al 0.250 0.250 0.250

Relative energy among the computed polymorphs ... 0 meV/atom

Return the lines above from the one with "(0.706, 0.721," to the one with "0.667)" without altering anything.

O (0.706, 0.721, 0.689)
O (0.294, 0.721, 0.032)
Hf (0.500, 0.667, 0.333)
V (0.500, 0.000, 0.000)
Ac (0.000, 0.333, 0.667)